=====
No. 1
An optimized crystal structure of CoNi2Te4. Source: the Alexandria database, functional GGA-PBE.

a b c (Å): 7.544 7.544 10.648
angles (deg): 90.00 90.00 90.00
Space group P4_122 (No. 91)
Unique sites:
Co1 0.000 0.247 0.000
Ni1 0.247 0.500 0.750
Ni2 0.253 0.253 0.375
Te1 0.016 0.246 0.760
Te2 0.246 0.478 0.991

Properties
formation energy (no corrections) = -211 meV/atom

---

No. 2
An optimized crystal structure of CoNi2Te6. Source: the Alexandria database, functional GGA-PBE.

a b c (Å): 12.428 3.849 8.721
angles (deg): 90.00 97.38 90.00
Space group C2/m (No. 12)
Unique sites:
Co1 0.000 0.000 0.000
Ni1 0.167 0.500 0.332
Te1 0.028 0.500 0.815
Te2 0.139 0.000 0.520
Te3 0.191 0.000 0.140

Properties
formation energy (no corrections) = -211 meV/atom

---

No. 3
An optimized crystal structure of CoNiTe2. Source: the Alexandria database, functional GGA-PBE.

a b c (Å): 4.738 4.708 7.179
angles (deg): 90.00 90.00 90.00
Space group Amm2 (No. 38)
Unique sites:
Co1 0.000 0.000 0.000
Ni1 0.500 0.000 0.198
Te1 0.000 0.000 0.349
Te2 0.500 0.000 0.850

Properties
formation energy (no corrections) = -39 meV/atom

---

No. 4
An optimized crystal structure of CoNiTe2. Source: the Alexandria database, functional GGA-PBE.

a b c (Å): 6.421 3.724 6.507
angles (deg): 90.00 109.33 90.00
Space group C2/m (No. 12)
Unique sites:
Co1 0.000 0.000 0.000
Ni1 0.000 0.500 0.500
Te1 0.247 0.500 0.242

Properties
formation energy (no corrections) = 62 meV/atom

---

No. 5
An optimized crystal structure of Co3NiTe8. Source: the Alexandria database, functional GGA-PBE.

a b c (Å): 12.727 7.499 7.433
angles (deg): 90.00 124.33 90.00
Space group C2/m (No. 12)
Unique sites:
Co1 0.000 0.000 0.000
Co2 0.250 0.250 0.500
Ni1 0.000 0.500 0.000
Te1 0.009 0.246 0.243
Te2 0.243 0.000 0.259
Te3 0.245 0.500 0.265

Properties
formation energy (no corrections) = -187 meV/atom

---

No. 6
An optimized crystal structure of CoNi4Te. Source: the Alexandria database, functional GGA-PBE.

a b c (Å): 6.768 6.768 6.768
angles (deg): 90.00 90.00 90.00
Space group F-43m (No. 216)
Unique sites:
Co1 0.000 0.000 0.000
Ni1 0.126 0.126 0.626
Te1 0.250 0.250 0.250

Properties
formation energy (no corrections) = 259 meV/atom

---

No. 7
An optimized crystal structure of CoNiTe2. Source: the Alexandria database, functional GGA-PBE.

a b c (Å): 7.276 3.583 6.636
angles (deg): 90.00 108.07 90.00
Space group Cm (No. 8)
Unique sites:
Co1 0.000 0.000 0.000
Ni1 0.248 0.500 0.152
Te1 0.255 0.000 0.812
Te2 0.495 0.000 0.326

Properties
formation energy (no corrections) = -48 meV/atom

---

No. 8
An optimized crystal structure of Co2NiTe5. Source: the Alexandria database, functional GGA-PBE.

a b c (Å): 11.356 7.488 5.307
angles (deg): 90.00 112.84 90.00
Space group Cm (No. 8)
Unique sites:
Co1 0.000 0.000 0.000
Co2 0.090 0.500 0.602
Ni1 0.081 0.500 0.114
Te1 0.142 0.232 0.911
Te2 0.305 0.500 0.570
Te3 0.451 0.239 0.243

Properties
formation energy (no corrections) = 36 meV/atom

---

No. 9
An optimized crystal structure of CoNiTe. Source: the Alexandria database, functional GGA-PBE.

a b c (Å): 5.751 5.751 5.751
angles (deg): 90.00 90.00 90.00
Space group F-43m (No. 216)
Unique sites:
Co1 0.000 0.000 0.000
Ni1 0.250 0.250 0.750
Te1 0.250 0.250 0.250

Properties
formation energy (no corrections) = 60 meV/atom

---

No. 10
An optimized crystal structure of CoNi2Te. Source: the Alexandria database, functional GGA-PBE.

a b c (Å): 3.726 3.726 7.625
angles (deg): 90.00 90.00 90.00
Space group I4/mmm (No. 139)
Unique sites:
Co1 0.000 0.000 0.000
Ni1 0.000 0.500 0.250
Te1 0.000 0.000 0.500

Properties
formation energy (no corrections) = 162 meV/atom

---

No. 11
An optimized crystal structure of CoNi2Te. Source: the Alexandria database, functional GGA-PBE.

a b c (Å): 5.952 5.952 5.952
angles (deg): 90.00 90.00 90.00
Space group F-43m (No. 216)
Unique sites:
Co1 0.000 0.000 0.000
Ni1 0.000 0.000 0.500
Ni2 0.250 0.250 0.250
Te1 0.250 0.250 0.750

Properties
=====

Could you write out every line further above that contains the word "Ni2"?

Ni2 0.253 0.253 0.375
Ni2 0.250 0.250 0.250